### Data
<<<
[1]
Formula: C14H13F2N
Source: the OMol25 dataset
Level of theory: the ωB97M-V functional and the def2-TZVPD basis

Geometry (Å):
F  -3.20482  3.32339  -2.48042
C  -1.94947  3.32974  -1.98492
C  -1.44941  2.16602  -1.44098
C  -0.16069  2.17386  -0.93529
C  0.58850  3.34248  -0.94296
C  0.05135  4.49560  -1.47633
C  -1.21533  4.49957  -2.01324
H  -2.07166  1.28029  -1.40212
H  0.24385  1.27365  -0.49314
H  1.58096  3.35899  -0.51381
H  0.62344  5.41294  -1.42415
H  -1.61201  5.42613  -2.40710
F  -0.07614  -5.54810  1.54526
C  -0.16104  -4.41004  0.83153
C  -0.41305  -3.22889  1.49881
C  -0.53651  -2.06157  0.75120
C  -0.33843  -2.09125  -0.62760
C  -0.07142  -3.28873  -1.26714
C  0.03574  -4.46371  -0.53707
H  -0.48830  -3.26877  2.57949
H  -0.78858  -1.13670  1.25815
H  -0.40785  -1.17489  -1.19381
H  0.09311  -3.26523  -2.33658
H  0.19079  -5.42864  -1.00500
C  2.23657  -0.49928  2.76681
C  1.34949  0.61961  2.44828
N  0.65166  1.51288  2.30680
H  1.93059  -0.91778  3.72218
H  3.26627  -0.16077  2.76591
H  2.10241  -1.27081  2.00723

The gap between HOMO and LUMO is 9.73 eV. For the total energy, the calculation gives -21653.4097 eV. The value obtained for the HOMO energy is -9.1 eV. The value obtained for the energy above the lowest of the compared OMol25 structures with the same formula, charge and spin is 12.0 kJ/mol. The spin multiplicity is 1.


[2]
Formula: C21H16Cl2CrN6O2
Source: the OMol25 dataset
Level of theory: the ωB97M-V functional and the def2-TZVPD basis

Geometry (Å):
Cr  -0.65684  0.03598  0.19544
Cl  1.34302  -6.43522  0.79491
C  1.32467  -4.74868  0.44121
C  0.20078  -4.01070  0.79412
C  0.16581  -2.65459  0.51712
N  -0.88950  -1.75239  0.79396
C  -2.06645  -2.10381  1.41054
O  -2.37416  -3.16769  1.88956
C  -3.05778  -0.95578  1.39478
C  -4.32970  -1.09402  1.90941
C  -5.21044  -0.03001  1.78180
C  -4.79564  1.12585  1.13659
C  -3.50289  1.19288  0.65077
N  -2.65044  0.17340  0.79113
C  1.26389  -2.03877  -0.11306
C  2.37829  -2.77640  -0.46321
C  2.40575  -4.13723  -0.18084
Cl  3.80191  -5.04170  -0.62833
N  1.10754  -0.63921  -0.27789
C  2.14584  0.21840  -0.09870
O  3.30400  0.09379  -0.44615
C  1.72322  1.43207  0.71764
C  2.62958  2.38810  1.12721
C  2.20178  3.37812  2.00182
C  0.88570  3.37776  2.43871
C  0.02919  2.39356  1.97835
N  0.44448  1.44624  1.13667
H  -0.62728  -4.49594  1.28389
H  -4.59849  -2.02904  2.38019
H  -6.21691  -0.10513  2.17096
H  -5.46204  1.96583  1.00421
H  -3.13089  2.06775  0.13312
H  3.22109  -2.30475  -0.94370
H  3.64956  2.31315  0.77631
H  2.89117  4.13496  2.35116
H  0.52227  4.12472  3.12926
H  -1.00852  2.35400  2.28404
C  0.88559  0.59220  -4.24392
N  0.88346  1.59399  -3.16613
C  2.10081  2.39231  -2.96480
C  0.01496  1.49006  -2.21811
N  -0.78854  1.39690  -1.37576
H  1.11672  1.09256  -5.18179
H  -0.09785  0.13591  -4.31413
H  1.63506  -0.17221  -4.03785
H  2.34006  2.90024  -3.89675
H  2.92837  1.74581  -2.67063
H  1.91976  3.13672  -2.19312

The gap between HOMO and LUMO (spin up / spin down) is 6.32 / 6.68 eV. As for the expectation value of S²: 3.79. For the total energy, the calculation gives -88535.3882 eV. The value obtained for the HOMO energy (spin up / spin down) is -10.4 / -10.5 eV. The value obtained for the energy above the lowest of the compared OMol25 structures with the same formula, charge and spin is 0.0 kJ/mol. As for the total charge: +1. The spin multiplicity is 4.


--- A ---
The following is a DFT calculation (ωB97M-V with the def2-TZVPD basis set) of a 2-piece molecular cluster, C5H14 overall.

Calculated values
SMILES string   CCC.CC
E_LUMO   1.122 eV
Frontier orbital gap   11.911 eV
HOMO level   -10.7893 eV

Structure (XYZ):
```
19
Properties=species:S:1:pos:R:3:nbo_charge:R:1
C 1.007 -0.823 0.337 -0.409
C 2.047 -1.636 1.105 -0.619
C 0.971 -1.033 -1.135 -0.613
H 0.035 -1.047 0.817 0.203
H 1.255 0.265 0.683 0.194
H 1.710 -2.161 1.949 0.209
H 2.677 -0.782 1.534 0.204
H 1.215 -2.073 -1.296 0.206
H -0.022 -0.847 -1.598 0.211
>>>
### Request
Could you work out how many lines further up have the word "between" in them; a number is enough?
### Done
2